This year feels like it could have bigger changes than we've seen in years. We know Adele will start middle school next year, though we don't know where. She might end up at a school nearby that we think will be an easy transition, but maybe not.
Inserted here: molecular data.
____________
63
Properties=species:S:1:pos:R:3:mulliken_spin:R:1 method="wB97M-V/def2-TZVPD" total_energy_ev=-80555.2282 molar_mass_da=874.38 multiplicity=4 s_squared=3.764
Re 0.05299 0.05428 -0.21658 2.469
C -6.37627 -1.23931 2.11201 -0.002
C -4.89300 -1.05383 1.96239 0.018
C -4.12808 -0.42856 2.94083 -0.003
C -2.77336 -0.25108 2.77368 0.063
C -2.10940 -0.67132 1.61594 0.021
N -0.70684 -0.46735 1.55349 0.208
C 0.01895 -0.89679 2.69254 0.009
C -0.34107 -2.11918 3.28427 0.041
C 0.36697 -2.65887 4.33408 -0.006
C 1.47876 -2.00769 4.86455 0.012
C 2.28013 -2.62207 5.97689 -0.001
C 1.82303 -0.78692 4.31324 -0.008
C 1.11545 -0.22886 3.25273 -0.045
C 2.52826 0.88540 1.47850 0.039
O 1.99118 0.10715 0.55043 0.025
C 3.94041 0.30881 1.80582 -0.010
F 4.51306 0.87215 2.88121 0.000
F 4.74988 0.51095 0.76261 0.000
F 3.86434 -1.01128 2.02465 0.001
C 1.60068 1.08746 2.72219 0.009
F 0.55508 1.86747 2.32837 0.001
F 2.81974 2.19093 1.00533 0.007
F 2.23369 1.81011 3.67954 0.000
C -2.88042 -1.27019 0.60817 -0.063
C -4.24359 -1.47413 0.81160 -0.005
C -2.26911 -1.73449 -0.71447 0.162
O -0.92882 -1.41191 -0.88011 -0.072
C -2.37178 -3.27482 -0.85680 -0.009
F -2.05083 -3.86036 0.31017 0.000
F -1.54077 -3.73662 -1.78820 0.000
F -3.61754 -3.65964 -1.18287 0.001
C -2.96658 -1.01067 -1.91504 -0.017
F -2.71546 0.31232 -1.78704 0.002
F -4.29189 -1.15487 -1.98197 -0.001
F -2.45722 -1.42072 -3.07680 0.000
H -6.66083 -1.30062 3.16181 0.001
H -6.90674 -0.39167 1.67202 0.002
H -6.71249 -2.14057 1.60094 0.000
H -4.60207 -0.08058 3.85115 -0.001
H -2.19015 0.22772 3.54980 0.001
H -1.18640 -2.65895 2.87800 0.002
H 0.05939 -3.61332 4.74563 0.000
H 1.63369 -2.90546 6.80889 0.001
H 2.77653 -3.52931 5.62651 0.001
H 3.04206 -1.93626 6.34259 0.000
H 2.66304 -0.24205 4.72434 0.000
H -4.82247 -1.97910 0.05274 0.000
F 2.35726 1.59010 -2.38702 -0.003
B 1.19421 1.33582 -3.15673 0.013
F 0.40211 0.36460 -2.36818 0.020
F 0.44656 2.52613 -3.21551 0.000
F 1.45522 0.80241 -4.37277 0.001
N 1.91051 3.96479 -1.00170 0.003
C 0.48575 4.32733 -0.74240 -0.007
C -0.31646 3.07902 -0.32380 0.026
O -1.47209 3.14991 -0.00058 0.008
O 0.43842 2.02494 -0.38817 0.091
H 2.47941 4.03146 -0.15944 0.001
H 2.32686 4.49063 -1.76353 0.000
H 1.94198 2.95622 -1.26370 -0.007
H 0.03494 4.71090 -1.65327 0.001
H 0.41142 5.07318 0.04362 0.000

~~~~~

Entry 1:
____________
Back to the entry.
After many great years at a job he loves, there are changes on the horizon at Jon's work that make it pretty likely he'll look for a new job this year.
And after years of assuming we'd never want to leave this city or even this house, the idea of moving nearby has taken hold as a longer-term possibility. This year, it might mean prioritizing some work on the house with an eye towards what might help it sell down the road and starting to get a sense of the local market. I doubt we'd actually move this year.
We don't have many family trips on the calendar this year like we did at the beginning of last year, but we will visit my parents at the end of the month. I hope my work travel isn't quite as concentrated as last year, but I do have... (counting)... probably at least nine work trips. Oof.
== Misplaced data records ==
=====
{
  "formula": "C5H6N",
  "method": "ωB97M-V with the def2-TZVPD basis set",
  "energy_ha": -248.38540,
  "lumo_ev": [-7.251, -7.251],
  "total_charge": 1,
  "max_force_ev_per_a": 3.73,
  "homo_lumo_gap_ev": [7.978, 7.979],
  "e_homo_ha": [-0.560, -0.560],
  "smiles": "C=C[C@H]1C2=[N+]1C2",
  "species": ["C", "C", "C", "C", "C", "N", "H", "H", "H", "H", "H", "H"],
  "positions_angstrom": [[1.27066, 0.01226, -0.57369], [-1.36600, 0.84982, 1.70787], [-0.45915, -0.03510, 1.32286], [1.32610, -0.62966, -1.89237], [-0.14179, 0.04316, -0.07706], [0.58883, -1.13719, -0.69579], [-1.68620, 0.89621, 2.71970], [-1.91613, 1.43551, 1.02920], [-0.04866, -0.67614, 1.98917], [0.95098, -0.18997, -2.74152], [2.20304, -1.25342, -1.97300], [-0.72168, 0.68451, -0.81536]],
  "forces_ev_per_angstrom": [[-0.78, -1.16, -0.48], [-0.26, -0.82, 0.61], [-1.97, 2.31, -1.89], [2.57, -1.37, 2.33], [0.39, 1.16, -0.91], [0.09, 0.86, -0.39], [-0.06, 0.15, 0.77], [-0.36, 0.86, -0.81], [1.66, -2.00, 1.61], [-1.38, 0.90, -1.80], [0.04, -0.03, -0.45], [0.06, -0.86, 1.40]]
}

=====

<P>
The following is a quantum chemistry calculation of C3H3N3O4 as an isolated structure, from the Open Molecules 2025 dataset.

```
! wB97M-V def2-TZVPD RIJCOSX def2/J DEFGRID3
* xyz 0 1
C 0.748 0.244 1.156
C 1.238 -0.105 -0.750
C -0.062 -0.285 0.092
N 1.853 0.311 0.520
N -0.877 -1.397 0.083
N -1.194 1.429 -0.297
O -1.385 -1.729 1.120
O -1.006 -1.984 -1.000
O -2.361 1.429 -0.143
O -0.374 2.301 -0.388
H 0.455 0.459 2.141
H 1.657 -1.153 -0.914
H 1.307 0.478 -1.622
*
```

***

<Q>
The following is a quantum chemistry calculation of a 2-piece molecular cluster, C3H3N3O4 overall, from the Open Molecules 2025 dataset.

The SMILES is COC(=O)N=C=O.N#[N+][O-].

```
! wB97M-V def2-TZVPD RIJCOSX def2/J DEFGRID3
* xyz 0 1
C -0.110 2.413 0.653
O -0.917 1.272 0.648
C -0.368 0.018 0.576
O 0.823 -0.187 0.548
N -1.384 -0.905 0.672
C -1.543 -2.082 0.500
O -1.742 -3.207 0.439
H 0.312 2.625 -0.420
H 0.816 2.074 1.320
H -0.735 3.185 1.018
N 1.537 -2.596 -1.249
N 1.592 -1.727 -1.965
O 1.719 -0.883 -2.740
*
```

***

Last place for stability: <P>

***

<P>
The following is a quantum chemistry calculation of C3H10N2Si in the gas phase, from the Open Molecules 2025 dataset.

The SMILES is C=N[Si](C)(C)N.

```
! wB97M-V def2-TZVPD RIJCOSX def2/J DEFGRID3
* xyz 0 1
C -2.310 0.215 0.534
N -1.536 0.011 -0.459
Si 0.240 -0.150 -0.471
C 0.845 1.564 0.162
C 0.771 -1.353 0.992
N 0.606 -0.691 -2.093
H -3.420 0.221 0.393
H -1.949 -0.020 1.543
H 1.860 1.755 -0.020
H 0.164 2.340 -0.070
H 0.800 1.490 1.252
H -0.122 -1.944 1.297
H 1.575 -1.932 0.516
H 1.081 -0.748 1.773
H -0.147 -0.407 -2.793
H 1.543 -0.352 -2.555
*
```

***

<Q>
The following is a quantum chemistry calculation of a 2-piece molecular cluster, C3H10N2Si overall, from the Open Molecules 2025 dataset.

```
! wB97M-V def2-TZVPD RIJCOSX def2/J DEFGRID3
* xyz 0 1
C 1.109 1.299 -0.232
C 1.743 -0.155 -0.184
C -2.028 0.121 -0.321
N -0.139 1.184 0.555
N -0.753 -0.060 0.271
=====
I plan to do a lot more cooking in 2025. Jon and I were both pretty miserable about cooking last year, so my Christmas gift to him was 3 months of taking care of dinner. I hope that this commitment will inspire me to try new things and get out of the food rut we've been in for months. We'll see what happens after those first 3 months!
I want to keep up monthly hikes with Adele. We're working towards her being able to hike a particularly difficult trail. I also plan to keep hiking monthly with the dynamic group of women who have been my mentors for a decade now. I've had to play a bigger role in that hiking group now which I don't mind.
I expect to grow as a manager/boss this year. I'll be adding at least two new people to my direct team and a peer colleague. I'm excited about turning over direct responsibility for more of the the things I've been holding down for years, but I know that will be an adjustment.
_Someone pasted molecular data at this point_
-- begin --
# 1
The following is a DFT calculation (wB97M-V/def2-TZVPD) of a molecular structure, C45H61BrCsN5O3P.

Results
Charge   +1
Relative energy (zero: lowest compared OMol25 entry of this formula, charge and spin)   1.982 eV
Strongest force on any atom   0.7 eV/A
HOMO-LUMO gap   4.02 eV

Geometry (Å):
Cs (1.86405, 0.71231, 0.55144)
Br (1.14074, -2.75666, 5.48288)
P (-1.76041, -0.53459, -2.56083)
O (-0.79270, 0.82996, -0.69111)
O (2.41877, -2.07825, 0.98933)
O (2.79226, 1.85363, -1.61512)
N (4.78285, 1.50747, 0.67406)
N (-1.34000, 1.03827, -1.72887)
N (6.64089, 2.55190, 0.15703)
N (3.44077, -3.95096, 0.28592)
N (2.59738, 0.65340, 3.73066)
C (2.67209, 1.50175, 4.75440)
C (3.75628, 2.17777, -3.72739)
C (-3.96612, 1.44847, 0.02886)
C (3.40142, -2.61507, 0.47865)
C (3.85709, 2.02898, -2.31339)
C (5.18030, 2.07459, -1.77062)
C (-2.92862, 0.90936, 0.98977)
C (-3.42113, -0.95999, -4.85498)
C (-0.26303, -2.24690, -4.18362)
C (-4.15365, -2.19424, 0.39799)
C (1.84944, -0.11568, 6.30573)
C (-1.69905, -0.95683, 1.95030)
C (-4.71391, -3.22574, -0.33801)
C (-0.06880, 3.30433, 3.32479)
C (2.31407, 1.16538, 6.05107)
C (-2.54091, -0.44480, 0.94587)
C (-0.12110, -1.31160, -2.97478)
C (-0.92309, 2.20844, 3.96106)
C (-5.37309, 1.22814, 0.59758)
C (-3.14007, -1.36743, -0.08701)
C (0.29905, -2.14752, -1.76573)
C (-2.72286, 0.10679, -4.00266)
C (6.13845, 2.29798, -4.01135)
C (-1.73879, 0.90414, -4.87522)
C (-3.77521, 2.91779, -0.34067)
C (-2.40395, 1.74968, 1.96001)
C (-3.80120, 1.05611, -3.46428)
C (1.78012, -0.99540, 5.23967)
C (-1.03245, -3.38004, 1.11971)
C (-4.25854, -3.47473, -1.61897)
C (6.69128, 2.33884, 1.51147)
C (2.16529, -0.58209, 3.97411)
C (6.27327, 2.18380, -2.64282)
C (-1.19079, -0.05904, 2.89295)
C (-1.35262, -2.41794, 2.25741)
C (5.53553, 1.69180, 1.81298)
C (-2.77213, -1.54910, -1.44577)
C (-2.39563, -3.02316, 3.20641)
C (0.94245, -0.24789, -3.29068)
C (-2.01738, 2.81370, 4.84154)
C (-1.50756, 1.28745, 2.91267)
C (4.59062, -1.82967, -0.01117)
C (5.47217, 2.03248, -0.32537)
C (4.85025, 2.30785, -4.54821)
C (-3.31460, -2.62309, -2.16515)
H (-4.53038, 0.53127, -2.84584)
H (5.19379, 1.34554, 2.77474)
H (-3.33234, -3.24316, 2.69395)
H (-0.54256, -0.44431, 3.67306)
H (2.39498, 1.89404, 6.84574)
H (-0.48806, -1.70896, -5.10283)
H (-4.25524, -1.41845, -4.32652)
H (-4.46580, 3.19355, -1.13976)
H (-1.85449, -3.53119, 0.41878)
H (-0.14909, -3.05439, 0.57893)
H (-3.90086, 0.85763, -0.88639)
H (1.87834, -0.78326, -3.46884)
H (-4.00028, 3.57162, 0.50261)
H (4.56054, -0.81565, 0.38278)
H (-2.32921, 1.45569, -5.60881)
H (-0.27453, 1.59691, 4.59742)
H (7.01041, 2.37398, -4.64586)
H (0.37967, -1.59509, -0.82873)
H (-5.56683, 0.17406, 0.79857)
H (4.56186, -1.77096, -1.10216)
H (0.71955, 0.30713, -4.19939)
H (-5.48656, 1.77487, 1.53549)
H (-0.66829, 3.94078, 2.67011)
H (-2.99894, -2.80232, -3.18451)
H (1.55224, -0.42295, 7.29891)
H (7.51907, 2.66321, 2.11660)
H (5.52866, -2.30817, 0.27030)
H (4.27852, -4.40625, -0.02987)
H (1.28783, -2.56077, -1.98057)
-- stop --
I should probably advocate for another title change, but I might just keep putting it on the back burner out of... fear? cowardice? I'm not sure what I'm so afraid of.
Speaking of fears, I have a complicated family issue that I've put on the back burner for years but I've asked my therapist to hold me accountable to make progress on it. I've been seeing the same therapist since 2023 which has especially helped me deal with work stress and grief about my sister's death in 2009.
For my health, I plan to keep tracking my sleep and trying to understand what circumstances disrupt my sleep. I don't want to feel so much stress in my body, which means being proactive in anticipating and mitigating stress.
I want to do another solo trip at some point. I did weekend trips in 2022 and 2023, and in 2024 I did a longer retreat-type trip without family but with many other women.
I want to keep dancing regularly this year. It feels so good to use my body when I spend so much time with mostly my brain.
I've still never tested positive for covid, and I'm still hoping to keep it that way. After Thanksgiving, I had a cough for about a week that I suspect was walking pneumonia from a kid who coughed in my face. I've had a few "off" days here and there, but I am thankful to generally avoid illness, especially considering my intense travel schedule. I'm unashamed and undeterred to sometimes be the only person wearing a mask in a space when I feel it's a small price to pay to minimize my risk of feeling miserable.
I have an unbloggable hobby goal again this year that I'll call completion and assistance (hopefully I'll remember what those mean).
I have a few monthly goals in mind, and I hope the first one in particular will help set me up well for the rest of the year.
January: Less of what doesn't bring joy
I want less physical stuff and fewer distractions in my life. This month, I really want to declutter my physical spaces, my inbox, and my attention. I already took the first big step: I archived all the emails in my personal and work inboxes. I haven't done this in a few years. As I get more comfortable with the idea that there are more requests for my time than I could humanly fulfill, I feel less bad about dropping some balls and letting go of those emails I really meant to respond to but haven't. If it's truly important, it will resurface, or I'll go looking for it. Now, as new things come in, I'll have just a few things to decide about at any given time.
February: Clean out the pantry
Since I'll be doing more cooking this year, February seems like a good time to make plans for using up all the odd foods we've accumulated in the pantry and freezer, or get rid of them.
March: Ask for yard help
One way or another, I need some help with the yard. March is a good time to make a plan for that, and I don't think I'll be traveling a whole lot in March.
For the wider world, I'm weary and wary of our choice of leader. I want to do my best to stay focused and energized about what good I'm trying to do in the world, and support the good work of others. I remember that we have to bend the arc of history towards justice--it's not going to bend itself, and it's not going to do it overnight. For me, this means making some conscious choices about the causes I prioritize and letting go of guilt about not doing more on other fronts. I can't play all the parts.
Let's see how wrong I am in a year ;-)
Happy New Year!